Page 31 - bon-dia-aruba-20200706
P. 31
locAl Monday 6 July 2020
University of Aruba offers unique program together with University of Leuven, Belgium:
“SISSTEM is a solution based program for sustainability issues in
small island states”
ORANJESTAD — Eric Mijts is that confronts you with
Misplaced records of crystals:
- - -
This record from the Materials Project describes a geometry-optimized NbV3Cu2P6O24 structure. The functional is GGA+U. Values from VASP.

The structure in Quantum ESPRESSO input format:
```
&SYSTEM
  ibrav = 0, nat = 36, ntyp = 5
/
ATOMIC_SPECIES
Nb 92.91 Nb.upf
V 50.94 V.upf
Cu 63.55 Cu.upf
P 30.97 P.upf
O 16.00 O.upf
ATOMIC_POSITIONS crystal
Nb 0.1407 0.1407 0.1407
V 0.6419 0.6419 0.6419
V 0.8571 0.8571 0.8571
V 0.3574 0.3574 0.3574
Cu 0.9971 0.9971 0.9971
Cu 0.5001 0.5001 0.5001
P 0.9587 0.5457 0.2517
P 0.5457 0.2517 0.9587
P 0.2517 0.9587 0.5457
P 0.7418 0.0386 0.4674
P 0.4674 0.7418 0.0386
P 0.0386 0.4674 0.7418
O 0.5040 0.3027 0.1235
O 0.3027 0.1235 0.5040
O 0.1235 0.5040 0.3027
O 0.9400 0.7318 0.0830
O 0.0000 0.3782 0.1978
O 0.7690 0.5592 0.4170
O 0.7318 0.0830 0.9400
O 0.5592 0.4170 0.7690
O 0.8014 0.0027 0.6245
O 0.4170 0.7690 0.5592
O 0.9112 0.0592 0.2746
O 0.6245 0.8014 0.0027
O 0.3782 0.1978 0.0000
O 0.0830 0.9400 0.7318
O 0.5804 0.2307 0.4420
O 0.1978 0.0000 0.3782
O 0.4420 0.5804 0.2307
O 0.2746 0.9112 0.0592
O 0.2307 0.4420 0.5804
O 0.0027 0.6245 0.8014
O 0.0592 0.2746 0.9112
O 0.8758 0.4991 0.6938
O 0.6938 0.8758 0.4991
O 0.4991 0.6938 0.8758
CELL_PARAMETERS angstrom
7.5435 -4.3483 0.0000
7.5435 4.3483 0.0000
5.0370 0.0000 7.1021
```

Results
Energy = -7.371 eV per atom
Calculated formation energy = -2504 meV/atom

This record from the Materials Project describes a geometry-optimized Sr4LaCrFe4O15 structure. The functional is GGA+U. Values from VASP.

The structure in Quantum ESPRESSO input format:
```
&SYSTEM
  ibrav = 0, nat = 25, ntyp = 5
/
ATOMIC_SPECIES
Sr 87.62 Sr.upf
La 138.91 La.upf
Cr 52.00 Cr.upf
Fe 55.84 Fe.upf
O 16.00 O.upf
ATOMIC_POSITIONS crystal
Sr 0.5996 0.5996 0.1012
Sr 0.0000 0.0000 0.5007
Sr 0.4002 0.4002 0.8991
Sr 0.1999 0.1999 0.6991
La 0.7990 0.7990 0.2994
Cr 0.1989 0.1989 0.1992
Fe 0.5995 0.5995 0.6005
Fe 0.0004 0.0004 0.9990
Fe 0.4004 0.4004 0.3996
Fe 0.7995 0.7995 0.8008
O 0.2980 0.2980 0.2985
O 0.5003 0.5003 0.4987
O 0.8981 0.8981 0.9055
O 0.7026 0.7026 0.6930
O 0.1017 0.1017 0.1049
O 0.0958 0.6028 0.5923
O 0.2997 0.8001 0.8015
O 0.7014 0.1921 0.2019
O 0.5026 0.9996 0.0068
O 0.9008 0.4070 0.3979
O 0.6028 0.0958 0.5923
O 0.8001 0.2997 0.8015
O 0.1921 0.7014 0.2019
O 0.9996 0.5026 0.0068
O 0.4070 0.9008 0.3979
CELL_PARAMETERS angstrom
-6.2377 -4.4616 -4.1568
-2.6597 -8.0695 -1.9754
-4.5092 -1.5602 4.8154
```

Results
Energy = -6.743 eV per atom
Calculated formation energy = -2419 meV/atom

This record from the Materials Project describes a geometry-optimized Li5CoNi9O20 structure. The functional is GGA+U. Values from VASP.

The structure in Quantum ESPRESSO input format:
```
&SYSTEM
  ibrav = 0, nat = 35, ntyp = 4
/
ATOMIC_SPECIES
Li 6.94 Li.upf
Co 58.93 Co.upf
Ni 58.69 Ni.upf
O 16.00 O.upf
ATOMIC_POSITIONS crystal
Li 0.0259 0.0009 0.7506
Li 0.7942 0.5974 0.3475
Li 0.8015 0.6111 0.8634
Li 0.9838 0.0014 0.2519
Li 0.2012 0.3875 0.6354
Co 0.6170 0.2016 0.7017
Ni 0.0003 0.0012 0.9999
Ni 0.1923 0.3980 0.9012
- - -
the developer of SISSTEM challenges you did not see
which means Sustainable or were blind to. “It is quite
Island Solutions through a right indeed. But our stu-
Science, Technology, Engi- dents are full dedicated.
neering and Mathematics, We did a project of an en-
a new program at the Uni- ergy audit with the Dutch
versity of Aruba. “Students marine barracks and the
will on the basis of deep evaluations of the students
understanding of funda- were an eye-opener. You
mental sciences, chemis- see they are understanding
try, physics, biology, GO what role they could play in
sciences, mathematics society and what actually
and data sciences devel- global footprint is and how
op skills in problem solv- to relate this to money, to
ing for sustainability issues people and to technologic
in small island states. It is innovation.” The program
really solution based, not shows the value of engag-
problem focused.” Think of ing with stake holders and
jobs like sustainability offi- also to work as a group.
cers, data scientists, ana- They bring their knowledge Why this program? gineering. One of the big the development of our is-
lysts for central banks or into practice and involve Mijts: “We noticed a lack issues we are facing is that land.
governments, sustainabil- into the Aruban community of scientific higher educa- we miss a lot of expertise in
ity managers in the build- which is very important. tion of technology and en- implementing solutions for Continued on Page 32
ing sector and monument
care and positions within
WEB, Elmar, renewable en-
ergy installations and in the
field of electric cars.
“You fit this program if you
really see the energy and
bio- environmental chal-
lenges that we are facing
but also the science chal-
lenges where we make
transitions to a new digital
world without having our
own data sciences net-
work yet. Creating that
expertise is what we stand
for,” Mijts explains. “We look
for people with an enor-
mous broad background
so whether you are into
environmental protection
or looking for a balance
between human and envi-
ronment or you love data
sciences solutions and
data minding/network or
even building environment
Inserted here: records of crystals.
-- begin --
Record 1
! PBE with a Hubbard U Rb3Mo4P4O22, relaxed; values from VASP
! total moment: 0.094 μB per atom
! calculated formation energy: -2405 meV/atom
! ΔE to the lowest computed polymorph: 0.17 kcal/mol of atoms
&SYSTEM
  ibrav = 0, nat = 132, ntyp = 4
/
ATOMIC_SPECIES
Rb 85.47 Rb.upf
Mo 95.94 Mo.upf
P 30.97 P.upf
O 16.00 O.upf
CELL_PARAMETERS angstrom
10.2767 0.0000 0.0000
0.0000 10.2767 0.0000
0.0000 0.0000 19.5504
ATOMIC_POSITIONS angstrom
Rb 0.0801 1.1613 7.3692
Rb 1.1613 0.0801 12.1812
Rb 2.1390 2.1390 0.0000
Rb 2.9994 7.2773 14.6628
Rb 3.9771 5.2184 2.4816
Rb 5.0583 6.2997 7.2936
Rb 5.2184 3.9771 17.0688
Rb 6.2997 5.0583 12.2567
Rb 7.2773 2.9994 4.8876
Rb 8.1378 8.1378 9.7752
Rb 9.1155 10.1967 2.4060
Rb 10.1967 9.1155 17.1443
Mo 0.1759 6.5343 1.1971
Mo 1.0888 2.6266 15.9269
Mo 1.3960 4.9625 6.0847
Mo 2.5118 6.2272 11.0393
Mo 2.6266 1.0888 3.6234
Mo 3.7424 10.1009 8.5781
Mo 4.0496 7.7649 18.2862
Mo 4.9625 1.3960 13.4656
Mo 5.3142 8.8808 3.6905
Mo 6.2272 2.5118 8.5110
Mo 6.5343 0.1759 18.3532
Mo 7.6502 9.1879 13.3986
Mo 7.7649 4.0496 1.2641
Mo 8.8808 5.3142 15.8599
Mo 9.1879 7.6502 6.1517
Mo 10.1009 3.7424 10.9723
P 0.4669 3.6571 3.1281
P 1.4812 5.6053 17.7909
P 1.6010 7.5805 8.2058
P 2.4421 3.5374 13.0933
P 2.6963 8.6758 1.5694
P 3.5374 2.4421 6.4570
P 3.6571 0.4669 16.4223
P 4.6714 8.7955 11.5347
P 5.6053 1.4812 1.7595
P 6.6196 9.8098 6.6471
P 6.7393 7.8347 16.2322
P 7.5805 1.6010 11.3446
P 7.8347 6.7393 3.3182
P 8.6758 2.6963 17.9809
P 8.7955 4.6714 8.0157
P 9.8098 6.6196 12.9033
O 0.1676 6.0762 17.1450
O 0.1939 6.3393 5.5965
O 0.2033 8.1210 7.7583
O 0.2291 2.3437 10.0405
O 0.5062 3.7308 4.6923
O 0.6839 1.2925 14.9218
O 0.9378 4.9707 2.4823
O 0.9623 7.0305 12.4739
O 1.0086 3.2480 12.5811
O 1.2009 4.9445 10.4841
O 1.2925 0.6839 4.6286
O 1.4075 5.6446 19.3550
O 1.4855 2.5567 2.6628
O 1.6040 7.5752 9.7636
O 1.7822 7.5378 2.0939
O 1.8921 4.1761 17.3615
O 1.8903 6.1470 7.6935
O 2.1557 10.0735 2.0169
O 2.3437 0.2291 9.5099
O 2.3994 3.3561 6.9815
O 2.4368 3.5344 14.6512
O 2.5567 1.4855 16.8876
O 2.5817 6.6238 17.3255
O 2.7015 8.6728 0.0116
O 2.7390 8.4945 7.6813
O 2.7947 5.3675 5.1529
O 2.9827 4.9351 12.6459
O 3.2480 1.0086 6.9693
O 3.2463 9.3145 16.8516
O 3.3561 2.3994 12.5688
O 3.5344 2.4368 4.8992
O 3.6529 7.6951 12.0000
O 3.7308 0.5062 14.8581
O 3.8459 5.8223 10.0342
O 3.9375 10.0829 4.1787
O 4.1298 8.3864 2.0817
O 4.1761 1.8921 2.1889
O 4.2006 10.1091 12.1805
O 4.4544 6.4309 19.2914
O 4.6322 8.8692 9.9705
O 4.9093 7.4821 4.6223
O 4.9351 2.9827 6.9045
O 4.9445 1.2009 9.0663
O 4.9707 0.9378 17.0681
O 5.3060 9.3390 7.2929
O 5.3323 9.0758 18.8415
O 5.3417 7.2941 16.6797
O 5.3675 2.7947 14.3975
O 5.6446 1.4075 0.1953
O 5.8223 3.8459 9.5162
O 6.0762 0.1676 2.4053
O 6.1006 8.3847 11.9640
O 6.1470 1.8903 11.8568
O 6.3393 0.1939 13.9539
O 6.4309 4.4544 0.2590
O 6.5459 9.7706 5.0829
O 6.6238 2.5817 2.2248
O 6.7423 7.8399 14.6744
O 6.9206 7.8773 2.7937
O 7.0305 0.9623 7.0764
O 7.0287 9.2682 16.7444
O 7.2941 5.3417 2.8707
O 7.4821 4.9093 14.9281
-- stop --
and solutions.” The current
Misplaced materials data:
┌──
Na3Mg2Al2PS5O24 (GGA-PBE, optimized geometry); total magnetization = 0.00 μB/f.u.; energy of formation = -2431 meV/atom
1.0
-7.309 3.491 -2.823
5.237 -3.949 -5.483
-10.435 -18.919 3.644
S O Na Mg Al P
15 72 9 6 6 3
Direct
0.641 0.971 0.417
0.990 0.703 0.751
0.332 0.975 0.915
0.638 0.667 0.919
0.332 0.363 0.416
0.385 0.330 0.083
0.953 0.341 0.582
0.030 0.362 0.916
0.026 0.666 0.416
0.665 0.052 0.084
0.298 0.009 0.250
0.993 0.286 0.250
0.666 0.610 0.583
0.709 0.705 0.249
0.292 0.292 0.750
0.364 0.900 0.859
0.822 0.526 0.744
0.788 0.979 0.687
0.569 0.865 0.474
0.476 0.310 0.746
0.641 0.136 0.140
0.493 0.159 0.925
0.210 0.035 0.305
0.832 0.028 0.803
0.470 0.309 0.028
0.501 0.626 0.580
0.005 0.828 0.406
0.172 0.178 0.407
0.375 0.498 0.078
0.686 0.525 0.527
0.966 0.791 0.806
0.141 0.439 0.971
0.196 0.034 0.587
0.104 0.630 0.362
0.679 0.156 0.028
0.494 0.352 0.139
0.368 0.863 0.580
0.971 0.174 0.305
0.493 0.340 0.424
0.138 0.702 0.471
0.694 0.180 0.744
0.300 0.442 0.471
0.529 0.681 0.258
0.785 0.805 0.192
0.825 0.794 0.586
0.301 0.860 0.968
0.136 0.629 0.080
0.841 0.507 0.425
0.653 0.507 0.639
0.145 0.675 0.759
0.830 0.038 0.087
0.857 0.505 0.143
0.363 0.475 0.362
0.312 0.470 0.759
0.480 0.177 0.245
0.523 0.887 0.365
0.207 0.169 0.804
0.868 0.360 0.639
0.481 0.162 0.527
0.823 0.297 0.246
0.829 0.799 0.302
0.519 0.844 0.756
0.667 0.157 0.424
0.823 0.992 0.407
0.029 0.818 0.697
0.845 0.335 0.925
0.563 0.697 0.975
0.508 0.868 0.079
0.822 0.828 0.909
0.833 0.522 0.028
0.017 0.205 0.195
0.193 0.982 0.195
0.148 0.469 0.257
0.523 0.638 0.866
0.008 0.178 0.907
0.109 0.475 0.862
0.968 0.802 0.087
0.190 0.212 0.695
0.171 0.997 0.907
0.324 0.852 0.258
0.660 0.505 0.925
0.205 0.172 0.087
0.695 0.522 0.246
0.132 0.500 0.578
0.493 0.137 0.643
0.964 0.174 0.585
0.843 0.321 0.528
0.667 0.334 0.334
0.328 0.653 0.667
0.362 0.995 0.748
0.664 0.960 0.589
0.018 0.004 0.000
0.671 0.706 0.082
0.028 0.003 0.500
0.303 0.663 0.168
0.683 0.341 0.834
0.331 0.666 0.318
0.317 0.665 0.018
0.007 0.000 0.146
0.327 0.669 0.517
0.005 0.001 0.646
0.340 0.669 0.818
0.002 0.001 0.349
0.990 0.001 0.849
0.673 0.339 0.982
0.659 0.328 0.482
0.675 0.338 0.187
0.668 0.327 0.686
0.380 0.049 0.584
0.953 0.614 0.084
└──
students find it a challeng-
ing program because it
is an academic program